Could you start at the top of the calculation results underneath and transcribe each line, ending with the one that has "(6)"?

~~~
(1)
14
Properties=species:S:1:pos:R:3:forces:R:3:lowdin_charge:R:1 method="wB97M-V/def2-TZVPD" e_tot_ha=-833.56083 largest_force_ha_per_bohr=0.0689 e_lumo_ev="3.9 / 3.9" total_charge=-1
C -0.0430 -0.7382 -0.9327 -1.70 1.83 1.34 -0.508
C -1.4567 -0.5758 -0.2615 0.47 0.92 -2.89 -0.151
N 0.4890 -1.8240 -0.2593 3.24 -1.43 0.05 -0.075
O 2.2976 0.4289 -0.9604 0.27 0.54 1.05 -0.377
O 0.3288 1.8992 -1.0235 -0.11 1.43 0.61 -0.361
O 0.0729 2.0575 1.7298 -0.12 -0.38 2.92 -0.180
O 0.8179 0.8410 1.6420 0.68 -0.10 -1.77 -0.352
S 0.9430 0.7025 -0.5166 -0.44 -2.51 -1.15 0.744
H -1.9413 -1.4883 -0.6080 -0.37 -0.06 0.52 0.054
H -1.4726 -0.4100 0.8067 0.15 -0.20 0.40 0.055
H -1.9461 0.2634 -0.7885 -0.11 -0.24 0.52 0.059
H 0.3549 -1.6476 0.7232 -0.03 -0.46 0.84 0.049
H 1.5384 -1.7998 -0.3908 -1.46 -0.50 0.06 0.084
H 0.0171 2.2913 0.8397 -0.46 1.17 -2.52 -0.041

(2)
11
Properties=species:S:1:pos:R:3:forces:R:3:lowdin_charge:R:1 method="wB97M-V/def2-TZVPD" e_tot_ha=-607.63344 largest_force_ha_per_bohr=0.0835 e_lumo_ev=-5.0 total_charge=+1
C 0.9384 0.2073 -0.2442 1.75 1.52 1.37 -0.363
C -0.4071 -0.4136 -0.5023 2.92 -1.27 0.26 -0.250
N -1.3782 0.0183 0.5122 -1.41 1.62 -2.41 0.194
O 3.3787 0.5340 0.0987 1.45 0.29 0.54 -0.505
S 2.4399 -0.5524 0.1246 -3.76 1.52 -1.40 0.983
H 1.0108 1.4184 -0.0609 -0.08 -3.12 -0.91 0.145
H -0.2751 -1.5145 -0.4296 -0.49 0.59 -0.26 0.146
H -0.8686 -0.1448 -1.4344 0.32 0.06 -0.73 0.126
H -2.2166 0.0091 -0.1067 -0.34 -0.22 1.73 0.193
H -1.2271 1.0073 0.7399 0.07 -0.25 0.42 0.176
H -1.3951 -0.5691 1.3026 -0.41 -0.74 1.40 0.157

(3)
10
Properties=species:S:1:pos:R:3:forces:R:3:lowdin_charge:R:1 method="wB97M-V/def2-TZVPD" e_tot_ha=-532.73575 largest_force_ha_per_bohr=0.0489 e_lumo_ev=4.1 total_charge=-1
S 2.0033 0.8904 2.1646 -0.12 -0.73 0.38 -0.180
H 2.2570 2.0778 1.6667 0.15 0.74 -0.38 -0.488
C -1.0205 0.1336 -1.4843 0.49 -1.13 2.19 -0.042
C -0.8585 -0.2823 -0.1772 -0.75 -0.48 -2.35 -0.323
N 0.0817 -1.1349 0.4275 -0.17 1.05 0.64 -0.042
H -0.4735 -0.3541 -2.2968 0.13 0.54 0.27 0.026
H -1.6699 0.9775 -1.6836 -0.32 -0.39 -0.16 0.014
H -1.6115 -0.0370 0.5721 0.31 1.06 -0.13 0.084
H 0.7173 -0.4022 0.8627 0.15 -1.14 0.32 -0.098
H 0.5746 -1.8687 -0.0517 0.13 0.47 -0.78 0.050

(4)
10
Properties=species:S:1:pos:R:3:forces:R:3:lowdin_charge:R:1 method="wB97M-V/def2-TZVPD" e_tot_ha=-532.76926 largest_force_ha_per_bohr=0.0241 e_lumo_ev=4.4 smiles=NCC[S-] total_charge=-1
N -0.4792 0.3386 -1.3883 -0.10 0.00 0.09 -0.072
C 0.1848 0.6931 -0.1289 -0.08 -0.64 0.16 -0.412
C 0.3025 -0.4573 0.9031 -0.87 0.70 -0.12 -0.789
S -1.2187 -1.4439 1.0879 -0.06 0.10 0.10 0.069
H 0.0401 -0.4320 -1.8027 0.10 0.04 0.01 0.042
H -1.3386 -0.1248 -1.0887 -0.10 -0.03 0.00 -0.022
H -0.3773 1.4943 0.3529 0.00 0.20 -0.17 0.082
H 1.1876 1.0318 -0.3890 0.17 0.34 0.13 0.079
H 1.0984 -1.0929 0.6023 0.92 -0.75 -0.36 0.001
H 0.6003 -0.0068 1.8515 0.02 0.03 0.16 0.022

(5)
10
Properties=species:S:1:pos:R:3:forces:R:3:lowdin_charge:R:1 method="wB97M-V/def2-TZVPD" e_tot_ha=-532.35845 largest_force_ha_per_bohr=0.1243 e_lumo_ev=-4.1 total_charge=+1
C 0.1536 1.0888 0.0812 3.06 5.53 0.97 -0.455
C 0.3543 -1.1166 0.1013 -0.37 -1.42 -0.12 -0.384
N -0.7073 -0.0509 -0.1012 -1.57 -1.30 -2.85 -0.059
S 1.6707 0.0965 -0.1020 0.43 -0.09 -0.98 0.905
H 0.2392 2.3982 -0.7128 -1.01 -4.35 2.21 0.268
H 0.2761 1.3857 1.1520 -1.20 0.16 -0.96 0.080
H 0.3977 -1.6600 1.0827 -0.65 0.92 -0.70 0.123
H 0.1390 -1.8405 -0.6978 0.80 -0.03 0.33 0.106
H -1.6094 -0.2705 0.3575 0.40 1.01 0.25 0.201
H -0.9140 -0.0306 -1.1609 0.11 -0.44 1.86 0.214

(6)
11
Properties=species:S:1:pos:R:3:forces:R:3:lowdin_charge:R:1 method="wB97M-V/def2-TZVPD" e_tot_ha=-1738.04300 largest_force_ha_per_bohr=0.1040 e_lumo_ev="-5.4 / -7.4" total_charge=+1 spin_multiplicity=4
O 3.1248 0.0982 0.8575 -1.56 1.14 1.36 -0.092
Ni 1.8352 0.9460 1.7919 1.40 -1.14 -1.47 0.827
C -0.1465 0.1795 -0.2481 -4.38 2.97 -0.78 -0.182
C -0.8121 -1.0806 -0.7238 0.06 -1.25 -0.74 -0.096
H 0.7772 0.2713 -0.8372 -0.76 1.29 -0.10 0.123
~~~

(1)
14
Properties=species:S:1:pos:R:3:forces:R:3:lowdin_charge:R:1 method="wB97M-V/def2-TZVPD" e_tot_ha=-833.56083 largest_force_ha_per_bohr=0.0689 e_lumo_ev="3.9 / 3.9" total_charge=-1
C -0.0430 -0.7382 -0.9327 -1.70 1.83 1.34 -0.508
C -1.4567 -0.5758 -0.2615 0.47 0.92 -2.89 -0.151
N 0.4890 -1.8240 -0.2593 3.24 -1.43 0.05 -0.075
O 2.2976 0.4289 -0.9604 0.27 0.54 1.05 -0.377
O 0.3288 1.8992 -1.0235 -0.11 1.43 0.61 -0.361
O 0.0729 2.0575 1.7298 -0.12 -0.38 2.92 -0.180
O 0.8179 0.8410 1.6420 0.68 -0.10 -1.77 -0.352
S 0.9430 0.7025 -0.5166 -0.44 -2.51 -1.15 0.744
H -1.9413 -1.4883 -0.6080 -0.37 -0.06 0.52 0.054
H -1.4726 -0.4100 0.8067 0.15 -0.20 0.40 0.055
H -1.9461 0.2634 -0.7885 -0.11 -0.24 0.52 0.059
H 0.3549 -1.6476 0.7232 -0.03 -0.46 0.84 0.049
H 1.5384 -1.7998 -0.3908 -1.46 -0.50 0.06 0.084
H 0.0171 2.2913 0.8397 -0.46 1.17 -2.52 -0.041

(2)
11
Properties=species:S:1:pos:R:3:forces:R:3:lowdin_charge:R:1 method="wB97M-V/def2-TZVPD" e_tot_ha=-607.63344 largest_force_ha_per_bohr=0.0835 e_lumo_ev=-5.0 total_charge=+1
C 0.9384 0.2073 -0.2442 1.75 1.52 1.37 -0.363
C -0.4071 -0.4136 -0.5023 2.92 -1.27 0.26 -0.250
N -1.3782 0.0183 0.5122 -1.41 1.62 -2.41 0.194
O 3.3787 0.5340 0.0987 1.45 0.29 0.54 -0.505
S 2.4399 -0.5524 0.1246 -3.76 1.52 -1.40 0.983
H 1.0108 1.4184 -0.0609 -0.08 -3.12 -0.91 0.145
H -0.2751 -1.5145 -0.4296 -0.49 0.59 -0.26 0.146
H -0.8686 -0.1448 -1.4344 0.32 0.06 -0.73 0.126
H -2.2166 0.0091 -0.1067 -0.34 -0.22 1.73 0.193
H -1.2271 1.0073 0.7399 0.07 -0.25 0.42 0.176
H -1.3951 -0.5691 1.3026 -0.41 -0.74 1.40 0.157

(3)
10
Properties=species:S:1:pos:R:3:forces:R:3:lowdin_charge:R:1 method="wB97M-V/def2-TZVPD" e_tot_ha=-532.73575 largest_force_ha_per_bohr=0.0489 e_lumo_ev=4.1 total_charge=-1
S 2.0033 0.8904 2.1646 -0.12 -0.73 0.38 -0.180
H 2.2570 2.0778 1.6667 0.15 0.74 -0.38 -0.488
C -1.0205 0.1336 -1.4843 0.49 -1.13 2.19 -0.042
C -0.8585 -0.2823 -0.1772 -0.75 -0.48 -2.35 -0.323
N 0.0817 -1.1349 0.4275 -0.17 1.05 0.64 -0.042
H -0.4735 -0.3541 -2.2968 0.13 0.54 0.27 0.026
H -1.6699 0.9775 -1.6836 -0.32 -0.39 -0.16 0.014
H -1.6115 -0.0370 0.5721 0.31 1.06 -0.13 0.084
H 0.7173 -0.4022 0.8627 0.15 -1.14 0.32 -0.098
H 0.5746 -1.8687 -0.0517 0.13 0.47 -0.78 0.050

(4)
10
Properties=species:S:1:pos:R:3:forces:R:3:lowdin_charge:R:1 method="wB97M-V/def2-TZVPD" e_tot_ha=-532.76926 largest_force_ha_per_bohr=0.0241 e_lumo_ev=4.4 smiles=NCC[S-] total_charge=-1
N -0.4792 0.3386 -1.3883 -0.10 0.00 0.09 -0.072
C 0.1848 0.6931 -0.1289 -0.08 -0.64 0.16 -0.412
C 0.3025 -0.4573 0.9031 -0.87 0.70 -0.12 -0.789
S -1.2187 -1.4439 1.0879 -0.06 0.10 0.10 0.069
H 0.0401 -0.4320 -1.8027 0.10 0.04 0.01 0.042
H -1.3386 -0.1248 -1.0887 -0.10 -0.03 0.00 -0.022
H -0.3773 1.4943 0.3529 0.00 0.20 -0.17 0.082
H 1.1876 1.0318 -0.3890 0.17 0.34 0.13 0.079
H 1.0984 -1.0929 0.6023 0.92 -0.75 -0.36 0.001
H 0.6003 -0.0068 1.8515 0.02 0.03 0.16 0.022

(5)
10
Properties=species:S:1:pos:R:3:forces:R:3:lowdin_charge:R:1 method="wB97M-V/def2-TZVPD" e_tot_ha=-532.35845 largest_force_ha_per_bohr=0.1243 e_lumo_ev=-4.1 total_charge=+1
C 0.1536 1.0888 0.0812 3.06 5.53 0.97 -0.455
C 0.3543 -1.1166 0.1013 -0.37 -1.42 -0.12 -0.384
N -0.7073 -0.0509 -0.1012 -1.57 -1.30 -2.85 -0.059
S 1.6707 0.0965 -0.1020 0.43 -0.09 -0.98 0.905
H 0.2392 2.3982 -0.7128 -1.01 -4.35 2.21 0.268
H 0.2761 1.3857 1.1520 -1.20 0.16 -0.96 0.080
H 0.3977 -1.6600 1.0827 -0.65 0.92 -0.70 0.123
H 0.1390 -1.8405 -0.6978 0.80 -0.03 0.33 0.106
H -1.6094 -0.2705 0.3575 0.40 1.01 0.25 0.201
H -0.9140 -0.0306 -1.1609 0.11 -0.44 1.86 0.214

(6)